(Excerpt)
+++
(1)
Nd2Sm2Dy2Ho (PBE, relaxed); DOS at the Fermi energy = 16.70 states/eV per cell; space-group type = R-3m; calculated volume = 234 Å³/cell; calculated total energy = -4.545 eV per atom
1.0
5.7279 0.0000 0.0000
2.8640 4.9605 0.0000
2.8640 1.6535 8.2228
Sm Dy Ho Nd
2 2 1 2
Direct
0.7152 0.7152 0.8543
0.2848 0.2848 0.1457
0.5722 0.5722 0.2834
0.4278 0.4278 0.7166
0.0000 0.0000 0.0000
0.8612 0.8612 0.4163
0.1388 0.1388 0.5837

(2)
Re4SiRh (PBE, relaxed); DOS at the Fermi energy = 6.99 states/eV per cell; space-group type = F-43m; calculated volume = 96 Å³/cell; E_form (uncorrected) = 682 meV per atom
1.0
0.0000 3.6310 3.6310
3.6310 0.0000 3.6310
3.6310 3.6310 0.0000
Si Re Rh
1 4 1
Direct
0.0000 0.0000 0.0000
0.3756 0.8733 0.3756
0.8733 0.3756 0.3756
0.3756 0.3756 0.3756
0.3756 0.3756 0.8733
0.7500 0.7500 0.7500

(3)
PmNdTm6 (PBE, relaxed); DOS at the Fermi energy = 11.92 states/eV per cell; energy relative to the lowest polymorph listed for this composition = 345 meV/atom; space-group type = C2/m; calculated volume = 277 Å³/cell
1.0
5.6672 -0.2551 -2.1748
-2.4484 5.5555 -0.2305
-0.9818 0.6093 9.2253
Tm Nd Pm
6 1 1
Direct
0.3595 0.4570 0.2988
0.6405 0.5430 0.7012
0.1582 0.0607 0.7012
0.2981 0.6239 0.9220
0.7019 0.3761 0.0780
0.8418 0.9393 0.2988
0.0000 0.0000 0.0000
0.5000 0.0000 0.5000


No. 1
The following is a PBE calculation of an optimized crystal structure of PmPrTmTh, from Alexandria via LeMat-Bulk.

Structure (POSCAR):
```
PmPrTmTh
1.0
-4.210 3.858 -0.491
-5.146 -1.067 2.286
-1.754 2.929 4.603
Pm Tm Pr Th
1 1 1 1
direct
0.000 0.000 0.000
0.500 0.500 0.500
0.250 0.250 0.250
0.750 0.750 0.750
```

Calculated values
D(E_F) ... 7.8 states/eV per cell
ΔH_f (0 K) ... 61 kJ/mol of formula units
M_tot ... 0.00 μB/atom
Total DFT energy (no corrections) ... -5.198 eV per atom
Space-group type ... No. 216
Distance to the lowest polymorph of the same formula ... 0.137 eV per atom

---

No. 2
The following is a PBE calculation of an optimized crystal structure of Pm4PrTm2Th, from Alexandria via LeMat-Bulk.

Structure (POSCAR):
```
Pm4PrTm2Th
1.0
5.103 0.000 0.000
0.000 4.945 1.152
0.000 2.613 11.154
Pm Pr Th Tm
4 1 1 2
direct
0.500 0.256 0.745
0.000 0.246 0.254
0.000 0.754 0.746
0.500 0.744 0.255
0.500 0.500 0.000
0.000 0.500 0.500
0.000 0.000 0.000
0.500 0.000 0.500
```

Calculated values
D(E_F) ... 12.3 states/eV per cell
ΔH_f (0 K) ... 26 kJ/mol of formula units
M_tot ... 0.00 μB/atom
Total DFT energy (no corrections) ... -4.985 eV per atom
Space-group type ... No. 10

---

No. 3
The following is a PBE calculation of an optimized crystal structure of Pm3PrTmTh, from Alexandria via LeMat-Bulk.

Structure (POSCAR):
```
Pm3PrTmTh
1.0
-1.609 -4.799 -0.813
3.196 -2.275 7.102
-10.303 3.421 0.192
Pm Th Tm Pr
6 2 2 2
direct
0.750 0.385 0.205
0.250 0.135 0.955
0.750 0.865 0.045
0.750 0.371 0.544
0.250 0.615 0.795
0.250 0.629 0.456
0.750 0.379 0.878
0.250 0.621 0.122
0.750 0.872 0.372
0.250 0.128 0.628
0.750 0.879 0.707
0.250 0.121 0.293
```

Calculated values
D(E_F) ... 18.0 states/eV per cell
ΔH_f (0 K) ... 18 kJ/mol of formula units
M_tot ... 0.00 μB/atom
Total DFT energy (no corrections) ... -5.122 eV per atom
Space-group type ... No. 11

---

No. 4
The following is a PBE calculation of an optimized crystal structure of PmPrTmTh, from Alexandria via LeMat-Bulk.

Structure (POSCAR):
```
PmPrTmTh
1.0
3.615 0.000 -0.002
-1.806 3.130 0.003
-1.805 -1.056 11.700
Tm Pm Th Pr
1 1 1 1
direct
0.131 0.964 0.109
0.477 0.136 0.628
0.305 0.550 0.871
0.965 0.381 0.362
```

Calculated values
D(E_F) ... 5.8 states/eV per cell
ΔH_f (0 K) ... 8 kJ/mol of formula units
M_tot ... 0.00 μB/atom
Total DFT energy (no corrections) ... -5.335 eV per atom
Space-group type ... No. 160
Distance to the lowest polymorph of the same formula ... 0.000 eV per atom

---

No. 5
The following is a PBE calculation of an optimized crystal structure of PmPrTm5Th2, from Alexandria via LeMat-Bulk.
+++

(Job)
What is needed: give back everything further up verbatim.

(Solution)
(1)
Nd2Sm2Dy2Ho (PBE, relaxed); DOS at the Fermi energy = 16.70 states/eV per cell; space-group type = R-3m; calculated volume = 234 Å³/cell; calculated total energy = -4.545 eV per atom
1.0
5.7279 0.0000 0.0000
2.8640 4.9605 0.0000
2.8640 1.6535 8.2228
Sm Dy Ho Nd
2 2 1 2
Direct
0.7152 0.7152 0.8543
0.2848 0.2848 0.1457
0.5722 0.5722 0.2834
0.4278 0.4278 0.7166
0.0000 0.0000 0.0000
0.8612 0.8612 0.4163
0.1388 0.1388 0.5837

(2)
Re4SiRh (PBE, relaxed); DOS at the Fermi energy = 6.99 states/eV per cell; space-group type = F-43m; calculated volume = 96 Å³/cell; E_form (uncorrected) = 682 meV per atom
1.0
0.0000 3.6310 3.6310
3.6310 0.0000 3.6310
3.6310 3.6310 0.0000
Si Re Rh
1 4 1
Direct
0.0000 0.0000 0.0000
0.3756 0.8733 0.3756
0.8733 0.3756 0.3756
0.3756 0.3756 0.3756
0.3756 0.3756 0.8733
0.7500 0.7500 0.7500

(3)
PmNdTm6 (PBE, relaxed); DOS at the Fermi energy = 11.92 states/eV per cell; energy relative to the lowest polymorph listed for this composition = 345 meV/atom; space-group type = C2/m; calculated volume = 277 Å³/cell
1.0
5.6672 -0.2551 -2.1748
-2.4484 5.5555 -0.2305
-0.9818 0.6093 9.2253
Tm Nd Pm
6 1 1
Direct
0.3595 0.4570 0.2988
0.6405 0.5430 0.7012
0.1582 0.0607 0.7012
0.2981 0.6239 0.9220
0.7019 0.3761 0.0780
0.8418 0.9393 0.2988
0.0000 0.0000 0.0000
0.5000 0.0000 0.5000


No. 1
The following is a PBE calculation of an optimized crystal structure of PmPrTmTh, from Alexandria via LeMat-Bulk.

Structure (POSCAR):
```
PmPrTmTh
1.0
-4.210 3.858 -0.491
-5.146 -1.067 2.286
-1.754 2.929 4.603
Pm Tm Pr Th
1 1 1 1
direct
0.000 0.000 0.000
0.500 0.500 0.500
0.250 0.250 0.250
0.750 0.750 0.750
```

Calculated values
D(E_F) ... 7.8 states/eV per cell
ΔH_f (0 K) ... 61 kJ/mol of formula units
M_tot ... 0.00 μB/atom
Total DFT energy (no corrections) ... -5.198 eV per atom
Space-group type ... No. 216
Distance to the lowest polymorph of the same formula ... 0.137 eV per atom

---

No. 2
The following is a PBE calculation of an optimized crystal structure of Pm4PrTm2Th, from Alexandria via LeMat-Bulk.

Structure (POSCAR):
```
Pm4PrTm2Th
1.0
5.103 0.000 0.000
0.000 4.945 1.152
0.000 2.613 11.154
Pm Pr Th Tm
4 1 1 2
direct
0.500 0.256 0.745
0.000 0.246 0.254
0.000 0.754 0.746
0.500 0.744 0.255
0.500 0.500 0.000
0.000 0.500 0.500
0.000 0.000 0.000
0.500 0.000 0.500
```

Calculated values
D(E_F) ... 12.3 states/eV per cell
ΔH_f (0 K) ... 26 kJ/mol of formula units
M_tot ... 0.00 μB/atom
Total DFT energy (no corrections) ... -4.985 eV per atom
Space-group type ... No. 10

---

No. 3
The following is a PBE calculation of an optimized crystal structure of Pm3PrTmTh, from Alexandria via LeMat-Bulk.

Structure (POSCAR):
```
Pm3PrTmTh
1.0
-1.609 -4.799 -0.813
3.196 -2.275 7.102
-10.303 3.421 0.192
Pm Th Tm Pr
6 2 2 2
direct
0.750 0.385 0.205
0.250 0.135 0.955
0.750 0.865 0.045
0.750 0.371 0.544
0.250 0.615 0.795
0.250 0.629 0.456
0.750 0.379 0.878
0.250 0.621 0.122
0.750 0.872 0.372
0.250 0.128 0.628
0.750 0.879 0.707
0.250 0.121 0.293
```

Calculated values
D(E_F) ... 18.0 states/eV per cell
ΔH_f (0 K) ... 18 kJ/mol of formula units
M_tot ... 0.00 μB/atom
Total DFT energy (no corrections) ... -5.122 eV per atom
Space-group type ... No. 11

---

No. 4
The following is a PBE calculation of an optimized crystal structure of PmPrTmTh, from Alexandria via LeMat-Bulk.

Structure (POSCAR):
```
PmPrTmTh
1.0
3.615 0.000 -0.002
-1.806 3.130 0.003
-1.805 -1.056 11.700
Tm Pm Th Pr
1 1 1 1
direct
0.131 0.964 0.109
0.477 0.136 0.628
0.305 0.550 0.871
0.965 0.381 0.362
```

Calculated values
D(E_F) ... 5.8 states/eV per cell
ΔH_f (0 K) ... 8 kJ/mol of formula units
M_tot ... 0.00 μB/atom
Total DFT energy (no corrections) ... -5.335 eV per atom
Space-group type ... No. 160
Distance to the lowest polymorph of the same formula ... 0.000 eV per atom

---

No. 5
The following is a PBE calculation of an optimized crystal structure of PmPrTm5Th2, from Alexandria via LeMat-Bulk.